+++
Theoretical PXRD pattern of NaPr9Si6S2O24 for Cu Kα, 1.54184 Å, from a structure optimized by DFT (PBE).

Most intense lines, 10 to 80 degrees two-theta, in order of falling intensity:
d_spacing	intensity	index
2.953	100.0	3 -1 1
2.854	65.2	2 -1 2
2.876	37.8	3 0 0
4.052	36.9	1 1 1
2.026	31.8	4 -2 2
1.891	29.0	1 2 3
1.834	25.8	4 0 2
3.261	25.3	1 2 0
1.904	24.0	3 2 1
4.313	22.6	2 0 0
1.883	22.0	1 4 0
3.230	18.4	1 0 2

Structure:
```
NaPr9Si6S2O24
1.0
9.962 0.000 0.000
-4.981 8.627 0.000
0.000 0.000 6.966
Na Pr Si S O
1 9 6 2 24
Direct
0.000 0.000 0.000 Na
0.000 0.000 0.488 Pr
0.084 0.420 0.241 Pr
0.093 0.678 0.745 Pr
0.322 0.415 0.745 Pr
0.335 0.916 0.241 Pr
0.580 0.665 0.241 Pr
0.585 0.907 0.745 Pr
0.667 0.333 0.495 Pr
0.667 0.333 0.991 Pr
0.302 0.047 0.742 Si
0.366 0.290 0.245 Si
0.710 0.075 0.245 Si
0.745 0.698 0.742 Si
0.925 0.634 0.245 Si
0.953 0.255 0.742 Si
0.333 0.667 0.001 S
0.333 0.667 0.491 S
0.004 0.820 0.252 O
0.068 0.306 0.552 O
0.073 0.323 0.924 O
0.180 0.184 0.252 O
0.209 0.144 0.736 O
0.238 0.932 0.552 O
0.250 0.927 0.924 O
0.434 0.403 0.053 O
0.438 0.407 0.433 O
0.463 0.194 0.243 O
0.491 0.164 0.742 O
0.593 0.031 0.433 O
0.597 0.030 0.053 O
0.673 0.509 0.742 O
0.677 0.750 0.924 O
0.694 0.762 0.552 O
0.731 0.537 0.243 O
0.806 0.269 0.243 O
0.816 0.996 0.252 O
0.836 0.327 0.742 O
0.856 0.065 0.736 O
0.935 0.791 0.736 O
0.969 0.562 0.433 O
0.970 0.566 0.053 O
```

~~~~~

ScAgF2: calculated powder XRD pattern (CuKα), based on a structure optimized by DFT (GGA-PBE).

Crystal structure
a b c (Å): 5.5136 5.5136 11.3146
angles (deg): 90.00 90.00 90.00
Space group I4_1/amd (No. 141, origin choice 2)
One atom of each set of equivalent atoms:
Sc: 0.0000 0.2500 0.3750
Ag: 0.0000 0.2500 0.8750
F: 0.0000 0.0000 0.5000

Most intense lines, 10° ≤ 2θ ≤ 90°, by intensity:
index, 2θ (°), d (Å), I_rel
1 1 2, 27.79, 3.210, 100.0
2 0 0, 32.48, 2.757, 33.0
3 1 2, 55.12, 1.666, 27.9
2 0 4, 45.97, 1.974, 23.8
2 2 4, 57.41, 1.605, 17.6
1 0 3, 28.68, 3.113, 17.1
2 1 1, 37.32, 2.409, 16.6
1 1 6, 54.02, 1.698, 14.3
3 1 6, 74.05, 1.280, 10.6
0 0 4, 31.63, 2.829, 9.8

~~~~~

Record 1
Diffraction record for Ta10Ni3. The PXRD pattern is simulated, not measured: it uses DFT lattice parameters and positions (GGA-PBE) and Cu Kα, 1.54184 Å.
Peak positions follow from Bragg's law for the DFT cell and can differ from measured ones.

Structure:
```
data_Ta10Ni3
_cell_length_a 5.3482
_cell_length_b 5.3482
_cell_length_c 27.2241
_cell_angle_alpha 90.00
_cell_angle_beta 90.00
_cell_angle_gamma 120.00
_space_group_name_H-M_alt 'R -3 m'
_space_group_IT_number 166
_space_group_name_Hall '-R 3 2"'
loop_
_atom_site_label
_atom_site_type_symbol
_atom_site_fract_x
_atom_site_fract_y
_atom_site_fract_z
Ta1 Ta 0.0000 0.0000 0.1500
Ta2 Ta 0.0000 0.0000 0.3336
Ta3 Ta 0.0025 0.5013 0.9109
Ni1 Ni 0.0000 0.0000 0.0483
Ni2 Ni 0.0000 0.0000 0.5000
```

The 10 most intense peaks (10° ≤ 2θ ≤ 80°), low angle first:
(1 1 0), 2.674 Å, intensity 15
(1 0 10), 2.347 Å, intensity 27
(1 1 6), 2.305 Å, intensity 100
(0 0 12), 2.269 Å, intensity 20
(0 2 4), 2.192 Å, intensity 29
(0 1 11), 2.183 Å, intensity 24
(2 0 5), 2.131 Å, intensity 40
(0 3 6), 1.462 Å, intensity 16
(2 2 0), 1.337 Å, intensity 22
(2 0 17), 1.317 Å, intensity 19

---

Record 2
Diffraction record for Ta12Ni17. The PXRD pattern is simulated, not measured: it uses DFT lattice parameters and positions (GGA-PBE) and Cu Kα, 1.54184 Å.
Peak positions follow from Bragg's law for the DFT cell and can differ from measured ones.

Structure:
```
data_Ta12Ni17
_cell_length_a 9.306
_cell_length_b 9.306
_cell_length_c 9.306
_cell_angle_alpha 90.00
_cell_angle_beta 90.00
_cell_angle_gamma 90.00
_space_group_name_H-M_alt 'I -4 3 m'
_space_group_IT_number 217
_space_group_name_Hall 'I -4 2 3'
loop_
_atom_site_label
_atom_site_type_symbol
_atom_site_fract_x
_atom_site_fract_y
_atom_site_fract_z
Ta1 Ta 0.075 0.358 0.642
Ni1 Ni 0.000 0.000 0.000
Ni2 Ni 0.094 0.094 0.718
Ni3 Ni 0.146 0.146 0.146
```
+++

The reader should repeat every line earlier on that contains the word "Peak".

Peak positions follow from Bragg's law for the DFT cell and can differ from measured ones.
Peak positions follow from Bragg's law for the DFT cell and can differ from measured ones.